********
This entry pairs a crystal structure of Rb2BaPt2C8N8 with its theoretical XRD peak list. Radiation: Cu Ka. Structure: a cell relaxed with PBE.

Largest 12 diffraction maxima, sorted by position, 15° ≤ 2θ ≤ 90°:
2θ/deg  d [Å]  I/Imax
15.94  5.560  81
20.37  4.361  74
22.62  3.932  72
25.33  3.516  34
27.81  3.208  91
30.08  2.970  53
32.20  2.780  74
36.13  2.486  100
49.17  1.853  42
52.02  1.758  34
54.77  1.676  31
64.97  1.435  32

Structural model:
Cell: 7.863 7.863 7.028 Å, 90.00 90.00 90.00°
Space group P4/mmm (No. 123)
Inequivalent atoms, fractional coordinates:
Rb  0.000  0.500  0.000 x2
Ba  0.000  0.000  0.500 x1
Pt  0.500  0.500  0.257 x2
C  0.321  0.321  0.260 x8
N  0.215  0.215  0.263 x8



This entry pairs a crystal structure of BaC2S2N2 with its theoretical XRD peak list. Radiation: Cu Ka. Structure: a cell relaxed with PBE.

Largest 12 diffraction maxima, sorted by position, 15° ≤ 2θ ≤ 90°:
2θ/deg  d [Å]  I/Imax
15.38  5.760  64
16.47  5.384  40
18.29  4.851  44
20.33  4.369  56
25.36  3.513  79
26.73  3.336  34
28.10  3.176  100
29.63  3.015  26
32.55  2.751  38
32.93  2.720  37
33.31  2.690  27
35.46  2.532  33

Structural model:
Cell: 10.774 6.818 8.743 Å, 90.00 92.01 90.00°
Space group C2/c (No. 15)
Inequivalent atoms, fractional coordinates:
Ba  0.000  0.101  0.250 x4
C  0.122  0.358  0.605 x8
S  0.202  0.456  0.172 x8
N  0.064  0.221  0.557 x8

=====

Record 1
For K2Hg6Au, a structure optimized by DFT (GGA-PBE) gives the theoretical powder diffractogram in this record (Cu Kα (weighted mean of Kα1 and Kα2)).
Peak positions follow from Bragg's law for the DFT cell and can differ from measured ones.

Principal peaks in the range 2θ = 5–70°, by angle:
h k l	d_spacing	2θ (°)	Rel. int.
1 0 0	5.984	14.81	18
0 1 1	4.346	20.43	31
1 1 1	3.032	29.46	18
1 0 2	2.796	32.01	14
0 2 1	2.704	33.12	100
2 1 0	2.262	39.86	16
2 0 2	2.173	41.55	40
2 2 0	1.727	53.02	23
2 1 3	1.542	59.99	12
4 0 1	1.456	63.95	14

Crystal structure
Cell lengths 6.9092, 6.9092, 6.3241 Å; angles 90.00, 90.00, 120.00 degrees
Space group P-3m1 (No. 164)
Unique sites:
K: 0.3333 0.6667 0.3271 [2 per cell]
Hg: 0.1782 0.3564 0.8158 [6 per cell]
Au: 0.0000 0.0000 0.5000 [1 per cell]

Record 2
For KHg9Au2, a structure optimized by DFT (GGA-PBE) gives the theoretical powder diffractogram in this record (Cu Kα (weighted mean of Kα1 and Kα2)).
Peak positions follow from Bragg's law for the DFT cell and can differ from measured ones.

Principal peaks in the range 2θ = 5–70°, by angle:
h k l	d_spacing	2θ (°)	Rel. int.
1 0 0	8.378	10.56	48
1 0 1	3.600	24.73	20
1 1 1	3.077	29.02	31
2 0 1	2.888	30.96	81
2 1 1	2.480	36.23	81
2 2 0	2.418	37.18	100
3 0 1	2.287	39.39	20
0 0 2	1.994	45.50	23
5 0 1	1.545	59.88	24
2 2 2	1.538	60.15	50

Crystal structure
Cell lengths 9.6737, 9.6737, 3.9874 Å; angles 90.00, 90.00, 120.00 degrees
Space group P6/mmm (No. 191)
Unique sites:
K: 0.0000 0.0000 0.0000 [1 per cell]
Hg: 0.0000 0.5000 0.0000 [3 per cell]
Hg: 0.1870 0.3739 0.5000 [6 per cell]
Au: 0.3333 0.6667 0.0000 [2 per cell]

Record 3
For KHgAu2, a structure optimized by DFT (GGA-PBE) gives the theoretical powder diffractogram in this record (Cu Kα (weighted mean of Kα1 and Kα2)).
Peak positions follow from Bragg's law for the DFT cell and can differ from measured ones.

Principal peaks in the range 2θ = 5–70°, by angle:
h k l	d_spacing	2θ (°)	Rel. int.
0 0 3	5.797	15.28	100
1 0 4	3.008	29.70	36
0 1 5	2.670	33.57	26
1 1 0	2.405	37.39	67
1 1 3	2.221	40.61	57
1 0 7	2.134	42.36	19
1 1 6	1.851	49.23	15
1 0 10	1.605	57.42	10
3 0 0	1.389	67.45	12
3 0 3	1.350	69.63	12

Crystal structure
Cell lengths 4.8099, 4.8099, 17.3915 Å; angles 90.00, 90.00, 120.00 degrees
Space group R3m (No. 160, hexagonal axes)
Unique sites:
K: 0.0000 0.0000 0.0000 [3 per cell]
Hg: 0.0000 0.0000 0.2005 [3 per cell]
Au: 0.0000 0.0000 0.4730 [3 per cell]
Au: 0.0000 0.0000 0.8003 [3 per cell]

Record 4
********
Echo only the lines earlier on with the word "positions" in them.
Peak positions follow from Bragg's law for the DFT cell and can differ from measured ones.
Peak positions follow from Bragg's law for the DFT cell and can differ from measured ones.
Peak positions follow from Bragg's law for the DFT cell and can differ from measured ones.